== Input ==
~~~
Record 1
C2H4O3 | the ωB97M-V functional and the def2-TZVPD basis

Each line ends with the natural charge from an NBO analysis.
Cartesian coordinates (Å):
C  0.441  -0.196  0.154  0.72
C  -0.763  0.724  -0.446  -0.65
O  1.679  0.288  -0.196  -0.26
O  1.108  -0.860  -0.801  -0.27
O  0.216  -0.818  1.345  -0.72
H  -0.513  1.035  -1.397  0.23
H  -1.163  1.352  0.248  0.22
H  -1.690  0.105  -0.491  0.22
H  0.684  -1.629  1.583  0.51

The SMILES is CC1(O)OO1. As for the spin multiplicity: 1. The HOMO energy is -10.31 eV. Its gap between HOMO and LUMO is 11.06 eV. As for the charge: 0. The electronic energy comes out at -8277.356 eV. The value obtained for the energy above the lowest of the compared OMol25 structures with the same formula, charge and spin is 96.9 kcal per mole.



Record 2
C2H3NO2 | the ωB97M-V functional and the def2-TZVPD basis

Each line ends with the natural charge from an NBO analysis.
Cartesian coordinates (Å):
C  1.009  -1.248  -0.072  0.64
C  -0.004  -0.246  -0.173  -0.79
N  3.294  0.887  -0.328  0.15
O  1.159  -2.352  0.393  -0.47
O  2.273  0.391  0.148  -0.33
H  -0.049  0.257  -1.150  0.27
H  -0.870  -0.773  0.256  0.24
H  0.231  0.613  0.453  0.29

As for the spin multiplicity: 1. The HOMO energy (alpha / beta) is -7.31 / -8.72 eV. Its gap between HOMO and LUMO (alpha / beta) is 6.82 / 8.18 eV. As for the charge: 0. The electronic energy comes out at -7702.138 eV. The value obtained for the energy above the lowest of the compared OMol25 structures with the same formula, charge and spin is 131.6 kcal per mole.



Record 3
AsCsF6 | the ωB97M-V functional and the def2-TZVPD basis

Each line ends with the Mulliken charge.
Cartesian coordinates (Å):
Cs  2.941  1.164  -1.318  1.02
As  -0.405  -0.173  0.206  1.93
F  -1.409  0.966  1.220  -0.50
F  0.827  -0.095  1.508  -0.48
F  0.631  -1.180  -0.884  -0.51
F  -1.612  -0.354  -1.112  -0.48
F  0.202  1.227  -0.656  -0.51
F  -1.175  -1.555  1.036  -0.47

As for the spin multiplicity: 1. The HOMO energy is -12.16 eV. Its gap between HOMO and LUMO is 11.02 eV. As for the charge: 0. The electronic energy comes out at -77695.372 eV. The value obtained for the energy above the lowest of the compared OMol25 structures with the same formula, charge and spin is 16.0 kcal per mole.



Record 4
C20H56FO7P | the ωB97M-V functional and the def2-TZVPD basis

Each line ends with the Mulliken charge.
Cartesian coordinates (Å):
C  -0.815  0.822  2.396  -1.91
C  0.131  -0.063  1.565  1.89
C  0.232  -1.513  2.086  -1.34
C  1.522  0.579  1.430  -0.98
P  2.488  -0.094  -0.012  0.09
C  3.405  1.469  -0.449  -0.75
C  4.118  1.435  -1.795  -0.12
F  4.086  0.164  -2.375  -0.32
H  -0.282  1.551  3.011  0.41
H  -1.490  1.393  1.753  0.33
H  -1.440  0.224  3.067  0.40
H  -0.289  -0.126  0.556  -0.10
H  0.030  -2.239  1.299  0.00
H  -0.503  -1.699  2.875  0.45
H  1.219  -1.747  2.494  0.26
H  2.111  0.347  2.323  0.09
H  1.438  1.668  1.363  0.56
H  1.443  0.074  -0.960  -0.04
H  4.120  1.625  0.365  0.36
H  2.706  2.306  -0.422  0.37
H  3.637  2.107  -2.508  0.12
H  5.171  1.705  -1.704  0.25
C  -3.879  -2.231  -0.335  -1.14
C  -2.579  -1.530  -0.006  0.19
O  -1.461  -2.111  -0.668  -0.46
H  -3.835  -3.284  -0.054  0.38
H  -4.714  -1.763  0.192  0.32
H  -4.072  -2.159  -1.406  0.11
H  -2.352  -1.599  1.059  0.19
H  -2.649  -0.466  -0.262  0.10
H  -1.595  -2.030  -1.619  0.25
C  -3.754  4.199  3.898  -0.92
C  -2.650  3.417  4.581  -0.22
O  -1.364  3.697  4.040  -0.48
H  -3.769  3.985  2.829  0.18
H  -4.727  3.931  4.314  0.31
H  -3.615  5.274  4.039  0.37
H  -2.794  2.347  4.427  0.21
H  -2.660  3.598  5.662  0.32
H  -1.171  4.631  4.167  0.27
~~~

== Assignment ==
What is needed: print only the last part of the lines above, starting with the line that has "0.613".

== Worked solution ==
H  0.231  0.613  0.453  0.29

As for the spin multiplicity: 1. The HOMO energy (alpha / beta) is -7.31 / -8.72 eV. Its gap between HOMO and LUMO (alpha / beta) is 6.82 / 8.18 eV. As for the charge: 0. The electronic energy comes out at -7702.138 eV. The value obtained for the energy above the lowest of the compared OMol25 structures with the same formula, charge and spin is 131.6 kcal per mole.



Record 3
AsCsF6 | the ωB97M-V functional and the def2-TZVPD basis

Each line ends with the Mulliken charge.
Cartesian coordinates (Å):
Cs  2.941  1.164  -1.318  1.02
As  -0.405  -0.173  0.206  1.93
F  -1.409  0.966  1.220  -0.50
F  0.827  -0.095  1.508  -0.48
F  0.631  -1.180  -0.884  -0.51
F  -1.612  -0.354  -1.112  -0.48
F  0.202  1.227  -0.656  -0.51
F  -1.175  -1.555  1.036  -0.47

As for the spin multiplicity: 1. The HOMO energy is -12.16 eV. Its gap between HOMO and LUMO is 11.02 eV. As for the charge: 0. The electronic energy comes out at -77695.372 eV. The value obtained for the energy above the lowest of the compared OMol25 structures with the same formula, charge and spin is 16.0 kcal per mole.



Record 4
C20H56FO7P | the ωB97M-V functional and the def2-TZVPD basis

Each line ends with the Mulliken charge.
Cartesian coordinates (Å):
C  -0.815  0.822  2.396  -1.91
C  0.131  -0.063  1.565  1.89
C  0.232  -1.513  2.086  -1.34
C  1.522  0.579  1.430  -0.98
P  2.488  -0.094  -0.012  0.09
C  3.405  1.469  -0.449  -0.75
C  4.118  1.435  -1.795  -0.12
F  4.086  0.164  -2.375  -0.32
H  -0.282  1.551  3.011  0.41
H  -1.490  1.393  1.753  0.33
H  -1.440  0.224  3.067  0.40
H  -0.289  -0.126  0.556  -0.10
H  0.030  -2.239  1.299  0.00
H  -0.503  -1.699  2.875  0.45
H  1.219  -1.747  2.494  0.26
H  2.111  0.347  2.323  0.09
H  1.438  1.668  1.363  0.56
H  1.443  0.074  -0.960  -0.04
H  4.120  1.625  0.365  0.36
H  2.706  2.306  -0.422  0.37
H  3.637  2.107  -2.508  0.12
H  5.171  1.705  -1.704  0.25
C  -3.879  -2.231  -0.335  -1.14
C  -2.579  -1.530  -0.006  0.19
O  -1.461  -2.111  -0.668  -0.46
H  -3.835  -3.284  -0.054  0.38
H  -4.714  -1.763  0.192  0.32
H  -4.072  -2.159  -1.406  0.11
H  -2.352  -1.599  1.059  0.19
H  -2.649  -0.466  -0.262  0.10
H  -1.595  -2.030  -1.619  0.25
C  -3.754  4.199  3.898  -0.92
C  -2.650  3.417  4.581  -0.22
O  -1.364  3.697  4.040  -0.48
H  -3.769  3.985  2.829  0.18
H  -4.727  3.931  4.314  0.31
H  -3.615  5.274  4.039  0.37
H  -2.794  2.347  4.427  0.21
H  -2.660  3.598  5.662  0.32
H  -1.171  4.631  4.167  0.27